
Showing posts from September, 2006

On losing

If I have learned anything this year, it's this: God doesn't owe us anything, and He doesn't do things our way. It's a sweet stiff shot of "Trust me". And I mean to say, a stiff shot; a dose of hard medicine prescribed to initiate total dependency on Christ. All of our marriage we have lived fast and tried to follow God's leading, as far as being where He wanted us to be and doing what we thought He wanted us to do. Contrary to what is advised in Scripture, I tend to trust in what I feel. Sometimes it works, sometimes it doesn't. Our little adventure has never put me quite so at ease as the move to Missouri. I have always been excited about the next chapter no matter where it was, but when we moved here it was different. It was like we had found a place to land; I was content and at peace with our lives, really for the first time. Every other place was volatile and and unstable more often than not, I knew we had to be here for three years to f...

You win some, you lose some.

[Inserted here: records of crystals]
/*
Entry 1:
## K3Pm2VSe6 (PBE)

Data for a relaxed K3Pm2VSe6 crystal.

The total energy comes out at -4.982 eV per atom. As for the density of states at the Fermi level: 9.70 states/eV/f.u.

The space group is C2/m (No. 12) and the conventional cell measures 7.215, 12.508 and 8.051 Å, with angles of 90.00, 107.54 and 90.00 degrees. Symmetry generates all atoms from K at (0.000, 0.000, 0.000), K at (0.000, 0.329, 0.000), Pm at (0.000, 0.166, 0.500), V at (0.000, 0.500, 0.500), Se at (0.220, 0.347, 0.701) and Se at (0.237, 0.500, 0.299).


Entry 2:
## KPm2Y3Se6 (PBE)

Data for a relaxed KPm2Y3Se6 crystal.

The total energy comes out at -6.011 eV per atom. As for the density of states at the Fermi level: 3.67 states/eV/f.u.

The space group is C2/m (No. 12) and the conventional cell measures 18.367, 4.132 and 8.517 Å, with angles of 90.00, 104.21 and 90.00 degrees. Symmetry generates all atoms from K at (0.000, 0.000, 0.000), Pm at (0.172, 0.500, 0.347), Y at (0.000, 0.000, 0.500), Y at (0.165, 0.500, 0.824), Se at (0.000, 0.500, 0.268), Se at (0.162, 0.000, 0.590) and Se at (0.174, 0.000, 0.080).


No. 1
Here is crystalline BaZr3Ru at its relaxed geometry from Alexandria. Energies are from PBE-GGA.

Structure (POSCAR):
```
BaZr3Ru
1.0
5.1761 0.0000 0.0000
0.0000 5.1761 0.0000
0.0000 0.0000 5.1761
Ba Zr Ru
1 3 1
Direct
0.0000 0.0000 0.0000
0.0000 0.0000 0.5000
0.0000 0.5000 0.0000
0.5000 0.0000 0.0000
0.5000 0.5000 0.5000
```

Properties
* space-group type: Pm-3m
* total energy: -5.15 eV per atom
* ΔE to the lowest computed polymorph: 1969.4 meV per atom
* energy of formation: 2.22 eV/atom



No. 2
Here is crystalline CaLa7Ho2 at its relaxed geometry from Alexandria. Energies are from PBE-GGA.

Structure (POSCAR):
```
CaLa7Ho2
1.0
4.6430 -7.9825 0.0000
4.6430 7.9825 0.0000
0.0000 0.0000 5.9982
Ca La Ho
1 7 2
Direct
0.0000 0.0000 0.0000
0.0654 0.3045 0.5000
0.2556 0.7444 0.0000
0.3045 0.0654 0.5000
0.5000 0.5000 0.5000
0.6955 0.9346 0.5000
0.7444 0.2556 0.0000
0.9346 0.6955 0.5000
0.2965 0.7035 0.5000
0.7035 0.2965 0.5000
```

Properties
* space-group type: Cmmm
* total energy: -4.02 eV per atom
* energy of formation: 0.54 eV/atom



No. 3
Here is crystalline Pr5NdY5 at its relaxed geometry from Alexandria. Energies are from PBE-GGA.

Structure (POSCAR):
```
Pr5NdY5
1.0
6.1955 0.0000 0.0000
-3.0977 5.3654 0.0000
0.0000 0.0000 11.9808
Pr Nd Y
5 1 5
Direct
0.0000 0.0000 0.0000
0.3333 0.6667 0.3172
0.3333 0.6667 0.6828
0.6667 0.3333 0.1538
0.6667 0.3333 0.8462
0.3333 0.6667 0.0000
0.0000 0.0000 0.2631
0.0000 0.0000 0.7369
0.3325 0.1663 0.5000
0.8337 0.1663 0.5000
0.8337 0.6675 0.5000
```

Properties
* space-group type: P-6m2
* total energy: -5.25 eV per atom
* ΔE to the lowest computed polymorph: 45.0 meV per atom
* energy of formation: 0.29 eV/atom



No. 4
Here is crystalline ErZrMnZn at its relaxed geometry from Alexandria. Energies are from PBE-GGA.

Structure (POSCAR):
```
ErZrMnZn
1.0
6.7777 0.0000 0.0000
0.0000 6.7777 0.0000
0.0000 0.0000 6.7777
*/

You gotta give a little, take a little, and let your poor heart break a little; That's the story of, that's the glory of love. As long as there's the two of us, we've got the world and all it's charms, and when the world is through with us, we've got each others' arms; You've got to win a little, lose a little, and even have the blues a little; That's the story of, that's the glory of love.
Reason is always a kind of brute force; those who appeal to the head rather than the heart, however pallid and polite, are necessarily men of violence. We speak of 'touching' a man's heart, but we can do nothing to his head but hit it. GK Chesterton

Days of Yore

Forty hours of vacation earned in nursing comes out to a week off with time to spare so I scheduled my first week off and made a flying trip back to Nebraska. Sandysendbigpresent moved into a new house a couple of years ago that I've never seen and has had two babies since the last time I saw her, so it was an overdue trip. We spent a chaotic first night in her house with a total of nine children under foot, including three two and under, three preschoolers, and three grade schoolers. At one point she said, "You know how something seems like a good idea when you are making plans for it and then you get into and you think, 'what was I thinking?'" Our usual late night conversation ended early after countless interruptions from children. Needless to say the patriarch of the house slept in the basement. Kennedy has wanted to cut her hair off for at least two years now. Dale promised her she could do it on her 12th (how would you write that out? twelfth?) birthda...

# Unrelated to this piece: crystal structures
********
w) A relaxed structure of Al2P2Ir, computed with GGA-PBE.

Unit cell a=6.580 b=6.580 c=3.523 alpha=90.00 beta=90.00 gamma=90.00
Space group P4/mbm (No. 127)
One atom of each set of equivalent atoms:
Al (0.143, 0.357, 0.000)
P (0.172, 0.672, 0.500)
Ir (0.000, 0.000, 0.500)


x) A relaxed structure of Al2P2Ir, computed with GGA-PBE.

Unit cell a=4.740 b=4.740 c=7.099 alpha=90.00 beta=90.00 gamma=90.00
Space group I4/mmm (No. 139)
One atom of each set of equivalent atoms:
Al (0.000, 0.500, 0.250)
P (0.000, 0.000, 0.162)
Ir (0.000, 0.000, 0.500)


Least stable = x)


w) A relaxed structure of PaAl2Ir, computed with GGA-PBE.

Unit cell a=4.295 b=9.777 c=7.100 alpha=90.00 beta=90.00 gamma=90.00
Space group Cmcm (No. 63)
One atom of each set of equivalent atoms:
Pa (0.000, 0.076, 0.250)
Al (0.000, 0.363, 0.054)
Ir (0.000, 0.210, 0.750)


x) A relaxed structure of PaAl2Ir, computed with GGA-PBE.

Unit cell a=4.2342 b=4.2342 c=14.8707 alpha=90.00 beta=90.00 gamma=120.00
Space group R-3m (No. 166, hexagonal axes)
One atom of each set of equivalent atoms:
Pa (0.0000, 0.0000, 0.0000)
Al (0.0000, 0.0000, 0.2113)
Ir (0.0000, 0.0000, 0.5000)


Least stable = x)


w) A relaxed structure of AlIrPb3, computed with GGA-PBE.

Unit cell a=5.234 b=5.234 c=5.234 alpha=90.00 beta=90.00 gamma=90.00
Space group Pm-3m (No. 221)
One atom of each set of equivalent atoms:
Al (0.000, 0.000, 0.000)
Ir (0.500, 0.500, 0.500)
Pb (0.000, 0.000, 0.500)


x) A relaxed structure of AlIrPb3, computed with GGA-PBE.

Unit cell a=5.332 b=5.332 c=5.332 alpha=90.00 beta=90.00 gamma=90.00
Space group Pm-3m (No. 221)
One atom of each set of equivalent atoms:
Al (0.000, 0.000, 0.000)
Ir (0.500, 0.500, 0.500)
Pb (0.000, 0.500, 0.500)


Least stable = w)


w) A relaxed structure of Al2IrPd2, computed with GGA-PBE.

Unit cell a=7.297 b=7.297 c=2.795 alpha=90.00 beta=90.00 gamma=90.00
Space group P4/mbm (No. 127)
One atom of each set of equivalent atoms:
Al (0.170, 0.330, 0.000)
Ir (0.000, 0.000, 0.500)
Pd (0.131, 0.631, 0.500)


x) A relaxed structure of Al2IrPd2, computed with GGA-PBE.

Unit cell a=2.958 b=16.943 c=2.957 alpha=90.00 beta=90.00 gamma=90.00
Space group Cmmm (No. 65)
One atom of each set of equivalent atoms:
Al (0.000, 0.093, 0.000)
Ir (0.000, 0.500, 0.500)
Pd (0.000, 0.320, 0.500)


Least stable = w)


w) A relaxed structure of PmAlIr, computed with GGA-PBE.

Unit cell a=7.418 b=4.601 c=7.137 alpha=90.00 beta=90.00 gamma=90.00
Space group Pnma (No. 62)
One atom of each set of equivalent atoms:
Pm (0.028, 0.250, 0.185)
Al (0.186, 0.250, 0.609)
Ir (0.155, 0.750, 0.430)


x) A relaxed structure of PmAlIr, computed with GGA-PBE.

Unit cell a=3.660 b=11.369 c=5.935 alpha=90.00 beta=90.00 gamma=90.00
Space group Cmcm (No. 63)
One atom of each set of equivalent atoms:
Pm (0.000, 0.183, 0.250)
Al (0.000, 0.089, 0.750)
Ir (0.000, 0.500, 0.000)


Least stable = x)


w) A relaxed structure of PmAlIr, computed with GGA-PBE.
********

Happy Birthday to Leila...

(These records of crystals were left in the article by mistake)
'''
VASP calculation (meta-GGA SCAN) on a PBEsol-optimized structure of Sr2ZnAg2.

Properties
Its space group is P4/mbm (127). The value obtained for the volume is 26.5 Å³/atom. The formation energy comes out at -192 meV/atom.

Cell lengths 4.460, 7.715, 7.715 Å; angles 90.00, 90.00, 90.00 degrees
Element x y z (fractional)
Sr (0.500, 0.323, 0.177)
Sr (0.500, 0.677, 0.823)
Sr (0.500, 0.177, 0.677)
Sr (0.500, 0.823, 0.323)
Ag (0.000, 0.127, 0.373)
Ag (0.000, 0.873, 0.627)
Ag (0.000, 0.627, 0.127)
Ag (0.000, 0.373, 0.873)
Zn (0.000, 0.000, 0.000)
Zn (0.000, 0.500, 0.500)
'''

Sweet Leila is one. And what would we do without her? This precious little screeching bundle off beautiful innocent naughtiness... She is a ray of sunshine. And not too sure about the open flame on her birthday cake! Jasmine's expression in this picture is enough to root my feet deep in the soil where I stand. I have everything this life can afford any one person. I have this chronic nagging that pulls and tears at my security and confidence as every day the phone doesn't ring. But really, who cares? What is there to be desired beyond these four walls? Is there really such a desperation in me for what the modern world deems security more than what God wills for our lives here, right now? Where is my faith in the Almighty? Why have I transplanted that precious well that was so abundant and full in Christ into my husband and myself and our ability to control things or not control things as is evidenced in our present situation? People say all the time, "It'll work out. J...


It's the emotional swing from elation to devastation that wears me out. It's good news, it's no news, it's good news, it's no news. I wish we could just have a crystal ball so that we'd know what to do, which would eliminate faith altogether and then we'd be empty, but full of confidence. The journey... it's all about the journey. Sometimes I think about the days and wish them away to the next stage, then other times I think about the end stages and hope I don't wish away the years because I can attest to the fact that sometimes the golden years are more like the tarnished years. I know it sounds really sad and pessimistic, but I see people that spend every day of the end of their lives locked inside a strange place with no one that knows their secrets or their favorites or their middle name. I just want to cherish the days for what they are *a gift* and not wish them away. I have never gone without. I have never suffered a loss that disfigur...